Could you copy only the lines underneath with the word "neighbours" in them?

********
This record from Materials Project describes Ti13S24 after structural relaxation. The functional is meta-GGA r2SCAN.

a b c (Å): 8.9982 9.0103 10.2719
angles (deg): 67.64 67.58 82.48
Last column: nearest neighbours and their distance in Å.
Space group P-1 (No. 2)
Inequivalent atoms, fractional coordinates:
Ti: 0.0000 0.0000 0.0000 (multiplicity 1)  6 S 2.41-2.46
Ti: 0.0000 0.5000 0.0000 (multiplicity 1)  6 S 2.46
Ti: 0.0048 0.0016 0.6601 (multiplicity 2)  6 S 2.39-2.50
Ti: 0.2463 0.7595 0.1673 (multiplicity 2)  6 S 2.38-2.53
Ti: 0.2498 0.7561 0.4960 (multiplicity 2)  6 S 2.39-2.51
Ti: 0.2533 0.7508 0.8318 (multiplicity 2)  6 S 2.40-2.49
Ti: 0.4900 0.5050 0.3332 (multiplicity 2)  6 S 2.36-2.54
Ti: 0.5000 0.5000 0.0000 (multiplicity 1)  6 S 2.41-2.46
S: 0.0381 0.2011 0.7535 (multiplicity 2)  3 Ti 2.39-2.43
S: 0.0385 0.2044 0.4187 (multiplicity 2)  3 Ti 2.39-2.43
S: 0.0421 0.2085 0.0834 (multiplicity 2)  4 Ti 2.46-2.50
S: 0.2079 0.5418 0.0840 (multiplicity 2)  4 Ti 2.46-2.53
S: 0.2086 0.5417 0.7500 (multiplicity 2)  4 Ti 2.46-2.54
S: 0.2100 0.5494 0.4130 (multiplicity 2)  3 Ti 2.36-2.44
S: 0.2862 0.9573 0.2529 (multiplicity 2)  3 Ti 2.38-2.45
S: 0.2874 0.9550 0.9186 (multiplicity 2)  3 Ti 2.41-2.43
S: 0.2895 0.9548 0.5855 (multiplicity 2)  3 Ti 2.41-2.42
S: 0.4628 0.2967 0.2469 (multiplicity 2)  3 Ti 2.40-2.43
S: 0.4664 0.2967 0.9136 (multiplicity 2)  3 Ti 2.40-2.44
S: 0.4667 0.2983 0.5772 (multiplicity 2)  3 Ti 2.41-2.44

Total moment: 0.00 Bohr magnetons per cell
E: -416.9 eV/cell
Calculated formation energy: -1511 meV/atom
ρ: 3.25 Mg/m³
********

Last column: nearest neighbours and their distance in Å.